### To do
Now say how many lines of the contents below hold the word "Geometry", as a bare number.
### Entries
Below is crystalline MnWAu2 at its relaxed geometry, with properties calculated at the PBE level.

Geometry as POSCAR:
```
MnWAu2
1.0
5.674 0.000 0.000
0.000 5.674 0.000
2.837 2.837 5.645
Au Mn W
4 2 2
Direct
0.875 0.856 0.750
0.375 0.394 0.750
0.606 0.125 0.250
0.144 0.625 0.250
0.500 0.500 0.000
0.250 0.750 0.500
0.000 0.000 0.000
0.750 0.250 0.500
```

Computed properties:
Fermi-level density of states: 4.514 states/eV per cell
Energy of formation from the pure elements: 1.745 eV per atom
Relative energy among the computed polymorphs: 1553 meV per atom
Final energy: -5.425 eV per atom
### Here it is
1